Dispelling Myths About Child Sexual Abuse
The mere mention of sexual abuse of children evokes anger and fear from adults around us. Often the response is clouded by myths and half-truths used to convince themselves that this could never happen in their family or community.
Identifying this fear for what it is and letting go of it is an important part of the process of reducing the risk for children. However, it is also important to recognize that this fear promotes a reliance on myths that can undermine any real progress in this area.
+++
No. 1
The following is a PBE calculation of a relaxed structure of Cu2Ag3, from the Alexandria database.

Values from the calculation:
Total magnetization = 0.0 μB per formula unit
Energy relative to the elements = 15.6 kJ/mol of atoms
N(E_F) = 7.0 states/eV per cell

a b c (Å): 7.6520 7.6520 9.5220
angles (deg): 90.00 90.00 120.00
Space group R-3c (No. 167, hexagonal axes)
Symmetry-distinct sites (fractional):
Cu: 0.0000 0.0000 0.1244
Ag: 0.0000 0.3217 0.2500

=====

No. 2
The following is a PBE calculation of a relaxed structure of Pa2PRh, from the Alexandria database.

Values from the calculation:
Total magnetization = 0.0 μB per formula unit
Energy relative to the elements = -86.0 kJ/mol of atoms
N(E_F) = 10.3 states/eV per cell

a b c (Å): 5.835 3.853 7.928
angles (deg): 90.00 110.64 90.00
Space group P2_1/m (No. 11)
Symmetry-distinct sites (fractional):
Pa: 0.207 0.250 0.413
Pa: 0.218 0.250 0.939
P: 0.316 0.750 0.700
Rh: 0.363 0.750 0.218

=====

No. 3
The following is a PBE calculation of a relaxed structure of AcPrTlI, from the Alexandria database.

Values from the calculation:
Total magnetization = 0.0 μB per formula unit
Energy relative to the elements, uncorrected = -539.0 meV/atom
N(E_F) = 11.5 states/eV per cell

a b c (Å): 8.133 8.133 8.133
angles (deg): 90.00 90.00 90.00
Space group F-43m (No. 216)
Symmetry-distinct sites (fractional):
Ac: 0.000 0.000 0.000
Pr: 0.000 0.000 0.500
Tl: 0.250 0.250 0.250
I: 0.250 0.250 0.750

=====

No. 4
The following is a PBE calculation of a relaxed structure of BaMgCu3, from the Alexandria database.

Values from the calculation:
Total magnetization = 0.0 μB per formula unit
Energy relative to the elements = 120.1 kJ/mol of atoms
N(E_F) = 2.3 states/eV per cell

a b c (Å): 5.535 5.535 5.535
angles (deg): 90.00 90.00 90.00
Space group Pm-3m (No. 221)
Symmetry-distinct sites (fractional):
Ba: 0.000 0.000 0.000
Mg: 0.500 0.500 0.500
Cu: 0.000 0.000 0.500

=====

No. 5
The following is a PBE calculation of a relaxed structure of SrLi2AgHg, from the Alexandria database.

Values from the calculation:
Total magnetization = 0.0 μB per formula unit
Energy relative to the elements = -11.6 kJ/mol of atoms
N(E_F) = 1.9 states/eV per cell

a b c (Å): 4.990 4.990 5.399
angles (deg): 90.00 90.00 90.00
Space group P4/mmm (No. 123)
Symmetry-distinct sites (fractional):
Sr: 0.000 0.000 0.000
Li: 0.000 0.500 0.500
Ag: 0.500 0.500 0.500
Hg: 0.500 0.500 0.000

=====

No. 6
The following is a PBE calculation of a relaxed structure of SiP, from the Alexandria database.

Values from the calculation:
Total magnetization = 0.0 μB per formula unit
Energy relative to the elements, uncorrected = 582.6 meV/atom
N(E_F) = 2.5 states/eV per cell

a b c (Å): 4.2239 4.2239 10.1163
angles (deg): 90.00 90.00 120.00
Space group P6_3/mmc (No. 194)
Symmetry-distinct sites (fractional):
Si: 0.0000 0.0000 0.2500
Si: 0.3333 0.6667 0.2500
P: 0.3333 0.6667 0.6412

=====

No. 7
+++
### So much for the calculated crystals
Adults believe that what they know about child molesters is the “truth.” They do not consider these “truths” as myths. Let’s look at a few of these “truths” so you can see that they are not facts. Please be prepared that dismantling these beliefs and showing that they are myths will also dissolve a false sense of security enjoyed by many. Dispelling myths requires us to confront that anyone could be a risk to our children and our only hope of preventing that is to learn how to recognize the behaviors of potential abusers and interrupt it.
== Data records that have nothing to do with the page ==
## Y3Cu2Rh (GGA-PBE)

Data for a relaxed structure of Y3Cu2Rh.

Lattice parameters (Å, degrees): 4.903 4.903 6.024 90.00 90.00 120.00
Atoms (fractional coordinates):
Y (0.000, 0.000, 0.000)
Y (0.333, 0.667, 0.661)
Y (0.667, 0.333, 0.339)
Cu (0.333, 0.667, 0.159)
Cu (0.667, 0.333, 0.841)
Rh (0.000, 0.000, 0.500)

Summary:
The formation enthalpy at 0 K is -0.46 eV per atom. As for the total energy: -37.7 eV per cell.

=====

BaZnRhO3 | PBE | relaxed

The structure in POSCAR format:
```
BaZnRhO3
1.0
5.420 0.000 0.000
0.000 5.708 0.000
0.000 -2.854 6.358
Ba Zn Rh O
2 2 2 6
Cartesian
4.065 0.000 3.008
1.355 2.854 3.350
1.355 0.000 0.907
4.065 2.854 5.451
1.355 0.000 6.276
4.065 2.854 0.082
1.355 0.000 2.813
0.000 1.337 0.000
2.710 4.371 0.000
2.710 1.337 0.000
0.000 4.371 0.000
4.065 2.854 3.545
```

Output
- Final energy: -5.571 eV/atom
- Theoretical density: 6.0 g cm⁻³
- Size of the total moment: 0.3 μB per formula unit

=====

Ba2ZnRhO5 | PBE | relaxed

The structure in POSCAR format:
```
Ba2ZnRhO5
1.0
-2.218 -2.485 0.811
5.547 -0.774 5.552
-5.294 6.758 6.231
Ba Zn Rh O
4 2 2 10
Cartesian
-2.039 2.667 9.842
-2.624 4.200 5.695
-0.466 1.522 3.389
1.284 -1.498 6.165
-5.655 4.989 7.066
1.500 1.307 8.107
-1.298 1.084 7.016
1.826 -0.766 2.646
-2.243 5.371 10.320
-4.078 4.005 8.364
-5.263 4.100 5.414
-0.824 3.120 7.305
-0.227 0.712 8.804
-2.363 1.502 5.385
0.573 1.462 6.044
2.837 -0.011 7.724
0.123 -1.234 3.802
0.476 -0.038 1.185
```

Output
- Final energy: -5.840 eV/atom
- Theoretical density: 6.2 g cm⁻³
- Size of the total moment: 1.0 μB per formula unit
According to the dictionary, a myth is “a fiction or half-truth, especially one that forms part of an ideology, or a fictitious story, person, or thing…a person or thing existing only in imagination, or whose actual existence is not verifiable.”[i] When applied to certain things that people believe they “know” about child molesters, reality begins to sink in.
There are a number of myths about child molesters that are prevalent in society. Let’s examine three of them.
Ø MYTH: Child molesters are crazy men who are easily recognizable.
FACT: Child molesters look like your neighbors, friends and acquaintances. They are people you work with, members of your family, and other trusted adults and adolescents in your neighborhoods and communities. Abusers come from all income brackets, and all ethnic, racial and other demographic backgrounds. In fact, in recent surveys, there was virtually no difference in the race or ethnicity percentages of abusers when compared to the race and ethnicity of the victims being surveyed.[ii] In addition, slightly more than 26% of those who sexually abused female relative under the age of eighteen were also under eighteen at the time of the abuse.[iii]
Ø MYTH: Strangers are responsible for most child sexual abuse.
FACT: Obviously, some strangers do molest children. The news media is quick to report these incidents and remind us of stranger danger. However, the primary risk to children comes from trusted adults in the child’s life. People we know and trust are more likely to be the ones who molest our children. Only 11% of abuse is committed by strangers. The real risk to children is from family members or relatives and other persons known to and trusted by the child and the family.[iv] Biologically related adults are responsible for 29% of the sexual abuse of our children and trusted adults in our families, homes, and communities commit 60% of the sexual abuse of our children. Children should not go off with strangers but strangers are not the real problem.
Ø MYTH: Most child molesters are homosexuals.
FACT: Most sex abusers are men and most victims are female. Clearly homosexuals are not the primary offenders. Even those adult males who victimize boys do not identify themselves as homosexual. They often have female adult sex partners and are somewhat homophobic. They think that adult male homosexual conduct is disgusting. Although most child molesters have trouble sustaining adult relationships, they usually marry at some time in their lives.[v]
Child molesters don’t fit into any specific category of people. They are people who get sexual pleasure from activities with children and are attracted to the particular characteristics of their victim of choice.[vi]
Starting to confront the degree to which we are governed by our belief that these myths are “facts” can be challenging and somewhat daunting. It is easier to believe the myths and tell ourselves that we can protect our children from “those people.” However, the risk to our children will continue to expand if we don’t start to deal with the reality of who presents the real risk to our children.
It is time to take the next step. Begin to notice how prevalent these myths are in your thinking and start letting them go. Use the facts provided here to help you learn how to protect children from predators.
[i] The American Heritage® Dictionary of the English Language, Fourth Edition Copyright © 2000 by Houghton Mifflin Company. Published by Houghton Mifflin Company. All rights reserved. Webster's Revised Unabridged Dictionary, © 1996, 1998 MICRA, Inc.
[ii] D.E.H. Russell, The Secret Trauma, Incest in the Lives of Girls and Women, Rev. Edition 1999, p.221.
[iii] D.E.H. Russell, The Secret Trauma, Incest in the Lives of Girls and Women, Rev. Edition 1999, p.220.
Between two parts of the page: calculated crystals:
-- begin --
Entry 1:
The following is a DFT calculation (PBE) of a geometry-optimized HfMg2As2 structure.

POSCAR file:
```
HfMg2As2
1.0
7.182 0.000 0.000
0.000 7.182 0.000
0.000 0.000 3.871
Hf Mg As
2 4 4
Direct
0.000 0.000 0.000
0.500 0.500 0.000
0.154 0.346 0.500
0.346 0.846 0.500
0.654 0.154 0.500
0.846 0.654 0.500
0.158 0.658 0.000
0.342 0.158 0.000
0.658 0.842 0.000
0.842 0.342 0.000
```

Properties
Space group = P4/mbm (127)
DOS(E_F) = 4.0 states/eV per cell
Formation enthalpy at 0 K = -0.502 eV/atom
E_tot = -4.99 eV per atom

=====

Entry 2:
The following is a DFT calculation (PBE) of a geometry-optimized Hg2B2H structure.

POSCAR file:
```
Hg2B2H
1.0
6.518 0.000 0.000
0.000 6.518 0.000
0.000 0.000 3.344
Hg B H
4 4 2
Direct
0.242 0.258 0.000
0.258 0.758 0.000
0.742 0.242 0.000
0.758 0.742 0.000
0.086 0.586 0.500
0.414 0.086 0.500
0.586 0.914 0.500
0.914 0.414 0.500
0.000 0.000 0.000
0.500 0.500 0.000
```

Properties
Space group = P4/mbm (127)
DOS(E_F) = 3.4 states/eV per cell
E_tot = -2.38 eV per atom

=====

Entry 3:
The following is a DFT calculation (PBE) of a geometry-optimized BaGa3Ag structure.

POSCAR file:
```
BaGa3Ag
1.0
5.140 0.000 0.000
0.000 5.140 0.000
0.000 0.000 5.140
Ba Ga Ag
1 3 1
Direct
0.000 0.000 0.000
0.000 0.500 0.500
0.500 0.000 0.500
0.500 0.500 0.000
0.500 0.500 0.500
```

Properties
Space group = Pm-3m (221)
DOS(E_F) = 4.0 states/eV per cell
Formation enthalpy at 0 K = -0.030 eV/atom
E_tot = -2.80 eV per atom

=====

Entry 4:
The following is a DFT calculation (PBE) of a geometry-optimized Ba3CeGa2O8 structure.

POSCAR file:
```
Ba3CeGa2O8
1.0
6.034 0.000 0.000
-3.017 5.226 0.000
0.000 0.000 7.652
Ba Ce Ga O
3 1 2 8
Direct
0.000 0.000 0.000
0.333 0.667 0.664
0.667 0.333 0.336
0.000 0.000 0.500
0.333 0.667 0.212
0.667 0.333 0.788
0.170 0.340 0.322
0.170 0.830 0.322
0.333 0.667 0.979
0.340 0.170 0.678
0.660 0.830 0.322
0.667 0.333 0.021
0.830 0.170 0.678
0.830 0.660 0.678
```

Properties
Space group = P-3m1 (164)
DOS(E_F) = 0.0 states/eV per cell
E_tot = -6.67 eV per atom

=====

Entry 5:
The following is a DFT calculation (PBE) of a geometry-optimized RbPO3 structure.

POSCAR file:
```
RbPO3
1.0
3.696 0.000 0.000
0.000 3.696 0.000
0.000 0.000 3.696
Rb P O
1 1 3
Direct
0.000 0.000 0.000
0.500 0.500 0.500
0.000 0.500 0.500
0.500 0.000 0.500
0.500 0.500 0.000
```

Properties
Space group = Pm-3m (221)
DOS(E_F) = 1.4 states/eV per cell
E_tot = -5.23 eV per atom

=====

Entry 6:
The following is a DFT calculation (PBE) of a geometry-optimized ZnSeOF2 structure.

POSCAR file:
```
ZnSeOF2
1.0
4.535 0.000 0.000
0.000 4.535 0.000
0.000 0.000 3.763
Zn Se O F
1 1 1 2
Direct
0.000 0.000 0.000
0.500 0.500 0.500
0.500 0.500 0.000
0.000 0.500 0.500
0.500 0.000 0.500
```

Properties
Space group = P4/mmm (123)
DOS(E_F) = 2.3 states/eV per cell
E_tot = -3.29 eV per atom

=====

Entry 7:
The following is a DFT calculation (PBE) of a geometry-optimized YZrIr structure.

POSCAR file:
```
YZrIr
1.0
-1.720 1.720 5.613
1.720 -1.720 5.613
-- stop --
[iv] D.E.H Russell & R.M. Bolen, The epidemic of rape and child sexual abuse in the United States. (2000), Beverly Hills, CA. Sage.
[v] J. Bancroft, Human Sexuality and its Problems. (1989) London: Churchill Livingstone.
[vi] N.Groth, A. Burgess, H.J. Bimbaum, & T. Gary. Youth Protection Guidelines, BSA Volunteer Training. (1988) Irving, Tx: BSA.